Friday, June 16, 2023
**Here the text breaks off for data records:**
'''
[1]
Density functional theory data (PBE+U) for a relaxed Li7Mn4CoO12 crystal.

Space group ... P1 (1)
Calculated total energy ... -6.2137 eV/atom
Energy relative to the elements ... -2.049 eV/atom

Unit cell a=5.1600 b=5.8061 c=7.6930 alpha=99.92 beta=108.13 gamma=90.28
Atoms (fractional coordinates):
Mn (0.9989, 0.0022, 0.9986)
O (0.2830, 0.1213, 0.4903)
O (0.9706, 0.8035, 0.1808)
Co (0.6599, 0.1690, 0.6678)
Mn (0.6601, 0.6692, 0.6723)
Li (0.8390, 0.0802, 0.3292)
O (0.5726, 0.4559, 0.8129)
Li (0.1608, 0.9222, 0.6707)
O (0.0340, 0.7165, 0.8248)
Mn (0.3370, 0.3326, 0.3289)
Li (0.5099, 0.2540, 0.9973)
Mn (0.3431, 0.8321, 0.3308)
Li (0.8428, 0.5761, 0.3209)
O (0.2762, 0.6464, 0.5033)
O (0.7222, 0.8803, 0.5096)
O (0.4352, 0.0198, 0.1739)
Li (0.4902, 0.7406, 0.9974)
O (0.9491, 0.2801, 0.1701)
Li (0.1546, 0.4192, 0.6823)
O (0.0369, 0.1964, 0.8238)
Li (0.9929, 0.4958, 0.9966)
O (0.7307, 0.3858, 0.5153)
O (0.4266, 0.5493, 0.1877)
O (0.5738, 0.9518, 0.8146)

---

[2]
Density functional theory data (PBE+U) for a relaxed Li4Mn3CoO8 crystal.

Space group ... P2/m (10)
Calculated total energy ... -6.3606 eV/atom
Energy relative to the elements ... -2.006 eV/atom

Unit cell a=2.8658 b=5.4070 c=9.8676 alpha=83.57 beta=90.00 gamma=90.00
Atoms (fractional coordinates):
O (0.5000, 0.8861, 0.8787)
O (0.0000, 0.1100, 0.6146)
O (0.0000, 0.8900, 0.3854)
Li (0.5000, 0.7579, 0.2466)
Mn (0.0000, 0.5000, 0.5000)
O (0.0000, 0.6295, 0.1097)
Mn (0.5000, 0.5000, 0.0000)
Co (0.0000, 0.0000, 0.0000)
O (0.0000, 0.3705, 0.8903)
O (0.5000, 0.1139, 0.1213)
Li (0.5000, 0.2421, 0.7534)
Li (0.0000, 0.7574, 0.7515)
O (0.5000, 0.3953, 0.3841)
Li (0.0000, 0.2426, 0.2485)
O (0.5000, 0.6047, 0.6159)
Mn (0.5000, 0.0000, 0.5000)

---

[3]
Density functional theory data (PBE+U) for a relaxed Li7Mn4CoO12 crystal.

Space group ... P1 (1)
Calculated total energy ... -6.2276 eV/atom
Energy relative to the elements ... -2.063 eV/atom

Unit cell a=6.7082 b=7.7580 c=8.7053 alpha=79.25 beta=102.72 gamma=89.51
Atoms (fractional coordinates):
O (0.7098, 0.9319, 0.9702)
Mn (0.5045, 0.5014, 0.9983)
Li (0.8698, 0.3759, 0.2492)
O (0.5610, 0.3366, 0.8732)
Li (0.6251, 0.1164, 0.7490)
O (0.9336, 0.1711, 0.4687)
O (0.1951, 0.4171, 0.2963)
Li (0.8701, 0.3799, 0.9087)
O (0.9374, 0.1642, 0.7970)
Mn (0.7507, 0.7479, 0.5041)
Li (0.1315, 0.6161, 0.7537)
O (0.7890, 0.5613, 0.6977)
O (0.2865, 0.0664, 0.6973)
O (0.2857, 0.0687, 0.3685)
O (0.7924, 0.5701, 0.0461)
Mn (0.5000, 0.4990, 0.6670)
Mn (0.0003, 0.9986, 0.6686)
Li (0.2511, 0.2522, 0.8337)
Li (0.1163, 0.6243, 0.0753)
Li (0.3707, 0.8686, 0.5891)
Mn (0.9965, 0.0013, 0.9961)
Co (0.5019, 0.4987, 0.3350)
Mn (0.2501, 0.2504, 0.5051)
O (0.8080, 0.5862, 0.3667)
Mn (0.2496, 0.2518, 0.1629)
O (0.2807, 0.0651, 0.0461)
Li (0.7485, 0.7487, 0.8299)
O (0.2182, 0.4432, 0.9720)
O (0.4426, 0.6650, 0.7958)
O (0.9357, 0.1702, 0.1180)
O (0.0621, 0.8301, 0.5477)
O (0.4357, 0.6762, 0.4699)
Co (0.9983, 0.0028, 0.3346)
O (0.4685, 0.6898, 0.1182)
O (0.0617, 0.8354, 0.8715)
'''
Solemnity of the Sacred Heart of Jesus
Dear Sisters and Brothers in Christ,
# Attached: materials data
-- begin --
1.
Crystalline Na3FeO3 at its relaxed geometry. Source: the Materials Project, functional meta-GGA r2SCAN.

Computed properties:
* uncorrected energy: -7.8127 eV per atom

Lattice parameters (Å, degrees): 8.444 8.444 6.098 69.48 69.48 77.69
Positions (direct):
Na 0.748 0.794 0.619
Na 0.649 0.173 0.483
Na 0.794 0.748 0.119
Na 0.278 0.230 0.030
Na 0.980 0.038 0.777
Na 0.940 0.363 0.000
Na 0.230 0.278 0.530
Na 0.038 0.980 0.277
Na 0.363 0.940 0.500
Na 0.564 0.476 0.052
Na 0.476 0.564 0.552
Na 0.173 0.649 0.983
Fe 0.646 0.122 0.044
Fe 0.401 0.877 0.969
Fe 0.877 0.401 0.469
Fe 0.122 0.646 0.544
O 0.311 0.772 0.313
O 0.601 0.989 0.879
O 0.718 0.466 0.297
O 0.989 0.601 0.379
O 0.772 0.311 0.813
O 0.466 0.718 0.797
O 0.212 0.457 0.746
O 0.032 0.227 0.367
O 0.227 0.032 0.867
O 0.783 0.988 0.231
O 0.457 0.212 0.246
O 0.988 0.783 0.731

2.
Crystalline Na3FeO4 at its relaxed geometry. Source: the Materials Project, functional meta-GGA r2SCAN.

Computed properties:
* uncorrected energy: -7.7646 eV per atom

Lattice parameters (Å, degrees): 8.188 8.188 5.590 77.39 77.39 99.14
Positions (direct):
Na 0.637 0.882 0.518
Na 0.882 0.637 0.518
Na 0.000 0.500 0.000
Na 0.000 0.000 0.500
Na 0.743 0.257 0.500
Na 0.500 0.500 0.500
Na 0.257 0.743 0.500
Na 0.625 0.375 0.000
Na 0.375 0.625 0.000
Na 0.363 0.118 0.482
Na 0.118 0.363 0.482
Na 0.500 0.000 0.000
Fe 0.749 0.749 0.030
Fe 0.875 0.125 0.000
Fe 0.125 0.875 0.000
Fe 0.251 0.251 0.970
O 0.988 0.771 0.822
O 0.771 0.988 0.822
O 0.890 0.890 0.193
O 0.662 0.662 0.811
O 0.318 0.876 0.784
O 0.876 0.318 0.784
O 0.548 0.756 0.228
O 0.756 0.548 0.228
O 0.452 0.244 0.772
O 0.244 0.452 0.772
O 0.682 0.124 0.216
O 0.124 0.682 0.216
O 0.338 0.338 0.189
O 0.110 0.110 0.807
O 0.229 0.012 0.178
O 0.012 0.229 0.178

* * * * *

VASP calculation (r2SCAN) on a relaxed HoAlO3 crystal.

Properties
Space-group type: Pnma
Formation energy from the elements: -3.703 eV/atom
Energy: -304.186 eV/cell

The structure in POSCAR format:
```
HoAlO3
1.0
5.314 0.000 0.000
0.000 7.351 0.000
0.000 0.000 5.145
Ho Al O
4 4 12
direct
0.055 0.250 0.013
0.445 0.750 0.513
0.555 0.250 0.487
0.945 0.750 0.987
0.000 0.000 0.500
0.000 0.500 0.500
0.500 0.000 0.000
0.500 0.500 0.000
0.024 0.750 0.412
0.205 0.546 0.796
0.205 0.954 0.796
0.295 0.046 0.296
0.295 0.454 0.296
0.476 0.250 0.912
0.524 0.750 0.088
0.705 0.546 0.704
0.705 0.954 0.704
0.795 0.046 0.204
0.795 0.454 0.204
0.976 0.250 0.588
-- stop --
Welcome to On the Road to Emmaus. I am delighted that you have decided to join me on this journey. Over the course of a year, we will walk together through the Most Holy Sacrifice of the Mass. Every week I will send you a communication containing catechesis, inspiration and a challenge. We might call this a “training in holiness”! I encourage you to invite your family members and friends to join us.
[Between two parts of the article: calculated crystals]
~~~
No. 1
Li9Mn2Co5O16 after structural relaxation, computed with PBE with a Hubbard U.

Lattice parameters (Å, degrees): 5.8846 6.4426 7.8362 85.85 76.03 76.70
With the nearest neighbours (Å) after each atom.
Fractional positions:
1 Li 0.0000 0.0000 0.0000  6 O 2.03-2.15
2 Li 0.0601 0.1246 0.6313  6 O 2.07-2.28
3 Li 0.1879 0.3668 0.8760  6 O 2.06-2.18
4 Li 0.3129 0.6327 0.1230  6 O 2.09-2.30
5 Li 0.4331 0.8747 0.3685  5 O 2.03-2.13
6 Li 0.5669 0.1253 0.6315  5 O 2.03-2.13
7 Li 0.6871 0.3673 0.8770  6 O 2.09-2.30
8 Li 0.8121 0.6332 0.1240  6 O 2.06-2.18
9 Li 0.9399 0.8754 0.3687  6 O 2.07-2.28
10 Mn 0.1192 0.2473 0.2445  6 O 1.90-2.02
11 Mn 0.8808 0.7527 0.7555  6 O 1.90-2.02
12 Co 0.2483 0.5010 0.4982  4 O 1.90-1.95
13 Co 0.3769 0.7527 0.7544  4 O 1.87-1.96
14 Co 0.5000 0.0000 0.0000  6 O 1.95-1.97
15 Co 0.6231 0.2473 0.2456  4 O 1.87-1.96
16 Co 0.7517 0.4990 0.5018  4 O 1.90-1.95
17 O 0.0179 0.5484 0.3179  2 Co 1.92-2.14, 1 Mn 1.98, 2 Li 2.10-2.13
18 O 0.0932 0.6946 0.9119  1 Mn 1.91, 1 Co 1.92, 3 Li 2.04-2.13
19 O 0.1473 0.7981 0.5664  1 Mn 1.94, 1 Co 1.94, 3 Li 2.12-2.16
20 O 0.2256 0.9552 0.1851  1 Mn 1.90, 1 Co 1.95, 3 Li 2.07-2.09
21 O 0.3047 0.0366 0.8230  2 Co 1.87-1.97, 2 Li 2.03
22 O 0.3317 0.2084 0.4171  2 Co 1.95-1.96, 1 Mn 2.02, 2 Li 2.13-2.15
23 O 0.3878 0.2998 0.0630  1 Mn 1.93, 1 Co 1.95, 3 Li 2.06-2.15
24 O 0.4802 0.4578 0.6786  2 Co 1.90-1.95, 1 Li 2.12
25 O 0.5198 0.5422 0.3214  2 Co 1.90-1.95, 1 Li 2.12
26 O 0.6122 0.7002 0.9370  1 Mn 1.93, 1 Co 1.95, 3 Li 2.06-2.15
27 O 0.6683 0.7916 0.5829  2 Co 1.95-1.96, 1 Mn 2.02, 2 Li 2.13-2.15
28 O 0.6953 0.9634 0.1770  2 Co 1.87-1.97, 2 Li 2.03
29 O 0.7744 0.0448 0.8149  1 Mn 1.90, 1 Co 1.95, 3 Li 2.07-2.09
30 O 0.8527 0.2019 0.4336  1 Mn 1.94, 1 Co 1.94, 3 Li 2.12-2.16
31 O 0.9068 0.3054 0.0881  1 Mn 1.91, 1 Co 1.92, 3 Li 2.04-2.13
32 O 0.9821 0.4516 0.6821  2 Co 1.92-2.14, 1 Mn 1.98, 2 Li 2.10-2.13

Size of the total moment = 2.01 μB per cell
Calculated formation energy = -1.78 eV per atom

No. 2
Li4Fe3Ni3O12 after structural relaxation, computed with PBE with a Hubbard U.

Lattice parameters (Å, degrees): 5.9100 5.9566 6.5830 103.43 102.73 90.69
With the nearest neighbours (Å) after each atom.
Fractional positions:
1 Li 0.0000 0.0000 0.0000  6 O 2.08-2.28
2 Li 0.1715 0.6607 0.6599  6 O 2.07-2.19
3 Li 0.5000 0.0000 0.0000  6 O 2.13-2.15
4 Li 0.8285 0.3393 0.3401  6 O 2.07-2.19
5 Fe 0.1664 0.1694 0.6652  6 O 1.89-2.00
6 Fe 0.5000 0.5000 0.0000  6 O 1.95-2.10
7 Fe 0.8336 0.8306 0.3348  6 O 1.89-2.00
8 Ni 0.0000 0.5000 0.0000  6 O 2.03-2.10
9 Ni 0.3350 0.8300 0.3364  6 O 2.02-2.12
10 Ni 0.6650 0.1700 0.6636  6 O 2.02-2.12
11 O 0.0627 0.6122 0.3294  1 Fe 1.89, 2 Ni 2.04-2.06, 1 Li 2.08
12 O 0.0689 0.0663 0.3455  2 Fe 1.94-2.00, 1 Ni 2.12, 2 Li 2.16-2.17
13 O 0.2408 0.2441 0.9750  2 Fe 1.93-2.10, 2 Li 2.08-2.13, 1 Ni 2.10
14 O 0.2655 0.7262 0.0105  1 Fe 1.95, 2 Ni 2.03-2.04, 1 Li 2.15
15 O 0.3956 0.9484 0.6578  1 Fe 1.90, 2 Ni 2.02-2.04
~~~
Okay. Let us start with that journey of the two disciples on the road to Emmaus as recorded in Chapter 24 of Saint Luke’s Gospel. This event gives us the overall picture of where we are going. The pair are downcast, but then Christ joins them on the road. After the tumult of the passion and death of the Lord, this scene of Jesus teaching and eating with two of his followers is so filled with hope. Jesus does two things which bring them great joy. He explains the Scriptures to them and then he joins them in their home and breaks the bread for them. This meal clearly has Eucharistic elements to it, using the same set of verbs used at the Last Supper. Though Jesus then disappears from their physical sight, they become aware of how present he was to them as he opened the Scriptures and broke the bread. This vanishing also looks forward to our regular gathering at the table of the Lord until the heavenly banquet welcomes us in the end.
Amazingly, this is exactly what we do at Holy Mass every time it is celebrated. We spend time on opening the Scriptures, something Jesus did all during his ministry to show that he is indeed the Messiah of God, and then we celebrate the Eucharistic gift, the very Body and Blood of the Lord, such that Jesus is made really present to us. He is not present as he was while walking through Galilee, but he is truly present to us disciples as he was to those disciples so long ago. Saint Augustine of Hippo notes: “Ah, yes, brothers and sisters, but where did the Lord wish to be recognized? In the breaking of the bread.”
My sisters and brothers, Saint Luke would have us remember that the Lord wants our ears open to the Word of God and our eyes open to the presence of God and this will happen at the table of the Lord as we gather each Sunday. Let our hearts burn, let us invite the Lord into our homes, let us take that blessed meal from his hands and let us recognize Jesus as the Son of God who died and rose for us.
So, my challenge for all of us this week is to read several times Saint Luke’s account of that first journey on the road to Emmaus as found in Chapter 24 of his Gospel. Spend some time reflecting on this beautiful encounter of Jesus with his disciples. Let this be our encounter as well. Until next week, God bless you all.
Yours in Christ,
+ Earl Boyea
Bishop of Lansing